**Material:**
'''
Diffraction record for KPO4. The powder XRD pattern is computed, not measured: it uses a cell relaxed with GGA-PBE and λ = 1.5418 Å (Cu Kα).
Neutral-atom scattering factors, no anomalous dispersion.

The 6 most intense peaks (2θ from 10° to 90°), by angle:
- 16.6 deg, rel. 17
- 21.5 deg, rel. 100
- 29.8 deg, rel. 31
- 30.6 deg, rel. 23
- 43.2 deg, rel. 37
- 63.2 deg, rel. 11

Structural model:
```
KPO4
1.0
-4.1343 4.1343 3.4928
4.1343 -4.1343 3.4928
4.1343 4.1343 -3.4928
K P O
2 2 8
Cartesian
0.0000 0.0000 0.0000
0.0000 4.1343 1.7464
4.1343 0.0000 1.7464
0.0000 0.0000 3.4928
3.5661 0.9816 0.6810
0.9816 -0.5682 2.4274
3.1527 -0.5682 2.8118
3.1527 4.7025 -1.0654
0.9816 4.7025 -0.6810
3.5661 3.1527 1.0654
0.5682 0.9816 4.5582
0.5682 3.1527 4.1738
```

=====

[1]
Structure and simulated X-ray powder pattern of Re2Te4Cl22O (a DFT-relaxed cell (PBE, the Materials Project); Cu Kα (weighted mean of Kα1 and Kα2)).

Atomic structure:
```
data_Re2Te4Cl22O
_chemical_formula_sum 'Re4 Te8 Cl44 O2'
_cell_length_a 9.6128
_cell_length_b 12.2063
_cell_length_c 19.8221
_cell_angle_alpha 90.00
_cell_angle_beta 114.78
_cell_angle_gamma 90.00
_symmetry_space_group_name_H-M 'P 1'
_symmetry_Int_Tables_number 1
loop_
_symmetry_equiv_pos_as_xyz
'x,y,z'
loop_
_atom_site_label
_atom_site_type_symbol
_atom_site_fract_x
_atom_site_fract_y
_atom_site_fract_z
Re1 Re 0.0839 0.0667 0.4412
Re2 Re 0.0839 0.4333 0.9412
Re3 Re 0.9161 0.5667 0.0588
Re4 Re 0.9161 0.9333 0.5588
Te1 Te 0.1929 0.7219 0.5071
Te2 Te 0.1929 0.7781 0.0071
Te3 Te 0.3382 0.0591 0.6751
Te4 Te 0.3382 0.4409 0.1751
Te5 Te 0.6618 0.5591 0.8249
Te6 Te 0.6618 0.9409 0.3249
Te7 Te 0.8071 0.2219 0.9929
Te8 Te 0.8071 0.2781 0.4929
Cl1 Cl 0.0526 0.6074 0.8804
Cl2 Cl 0.0526 0.8926 0.3804
Cl3 Cl 0.0678 0.5958 0.4125
Cl4 Cl 0.0678 0.9042 0.9125
Cl5 Cl 0.1089 0.2402 0.5016
Cl6 Cl 0.1089 0.2598 0.0016
Cl7 Cl 0.1651 0.6340 0.1476
Cl8 Cl 0.1651 0.8660 0.6476
Cl9 Cl 0.1866 0.1396 0.3644
Cl10 Cl 0.1866 0.3604 0.8644
Cl11 Cl 0.2512 0.5905 0.6031
Cl12 Cl 0.2512 0.9095 0.1031
Cl13 Cl 0.3283 0.0680 0.7929
Cl14 Cl 0.3283 0.4320 0.2929
Cl15 Cl 0.3344 0.0141 0.5298
Cl16 Cl 0.3344 0.4859 0.0298
Cl17 Cl 0.4349 0.6980 0.5034
Cl18 Cl 0.4349 0.8020 0.0034
Cl19 Cl 0.4400 0.0472 0.2833
Cl20 Cl 0.4400 0.4528 0.7833
Cl21 Cl 0.4777 0.2249 0.6903
Cl22 Cl 0.4777 0.2751 0.1903
Cl23 Cl 0.5223 0.7249 0.8097
Cl24 Cl 0.5223 0.7751 0.3097
Cl25 Cl 0.5600 0.5472 0.2167
Cl26 Cl 0.5600 0.9528 0.7167
Cl27 Cl 0.5651 0.1980 0.9966
Cl28 Cl 0.5651 0.3020 0.4966
Cl29 Cl 0.6656 0.5141 0.9702
Cl30 Cl 0.6656 0.9859 0.4702
Cl31 Cl 0.6717 0.5680 0.7071
Cl32 Cl 0.6717 0.9320 0.2071
Cl33 Cl 0.7488 0.0905 0.8969
Cl34 Cl 0.7488 0.4095 0.3969
Cl35 Cl 0.8134 0.6396 0.1356
Cl36 Cl 0.8134 0.8604 0.6356
Cl37 Cl 0.8349 0.1340 0.3524
Cl38 Cl 0.8349 0.3660 0.8524
Cl39 Cl 0.8911 0.7402 0.9984
Cl40 Cl 0.8911 0.7598 0.4984
Cl41 Cl 0.9322 0.0958 0.0875
Cl42 Cl 0.9322 0.4042 0.5875
Cl43 Cl 0.9474 0.1074 0.6196
Cl44 Cl 0.9474 0.3926 0.1196
O1 O 0.0000 0.0000 0.5000
O2 O 0.0000 0.5000 0.0000
```

Peak list (8 most intense, 10° ≤ 2θ ≤ 90°, sorted by position)
- 2θ = 10.14°, d = 8.728 Å, I 21
- 2θ = 10.76°, d = 8.219 Å, I 100
- 2θ = 11.74°, d = 7.540 Å, I 49
- 2θ = 16.86°, d = 5.259 Å, I 22
- 2θ = 17.22°, d = 5.149 Å, I 63
- 2θ = 18.37°, d = 4.830 Å, I 23
- 2θ = 24.13°, d = 3.688 Å, I 21
- 2θ = 36.41°, d = 2.467 Å, I 24

***

[2]
Structure and simulated X-ray powder pattern of AgBiO3 (a DFT-relaxed cell (PBE, the Materials Project); Cu Kα (weighted mean of Kα1 and Kα2)).

Atomic structure:
```
data_AgBiO3
_chemical_formula_sum 'Ag2 Bi2 O6'
_cell_length_a 6.3032
_cell_length_b 6.3032
_cell_length_c 6.3032
_cell_angle_alpha 54.56
_cell_angle_beta 54.56
_cell_angle_gamma 54.56
_symmetry_space_group_name_H-M 'P 1'
_symmetry_Int_Tables_number 1
loop_
_symmetry_equiv_pos_as_xyz
'x,y,z'
loop_
_atom_site_label
_atom_site_type_symbol
_atom_site_fract_x
_atom_site_fract_y
_atom_site_fract_z
Ag1 Ag 0.1316 0.1316 0.1316
Ag2 Ag 0.8684 0.8684 0.8684
Bi1 Bi 0.3420 0.3420 0.3420
'''

**Brief:**
Next, print everything further above without altering anything.

**Solution:**
Diffraction record for KPO4. The powder XRD pattern is computed, not measured: it uses a cell relaxed with GGA-PBE and λ = 1.5418 Å (Cu Kα).
Neutral-atom scattering factors, no anomalous dispersion.

The 6 most intense peaks (2θ from 10° to 90°), by angle:
- 16.6 deg, rel. 17
- 21.5 deg, rel. 100
- 29.8 deg, rel. 31
- 30.6 deg, rel. 23
- 43.2 deg, rel. 37
- 63.2 deg, rel. 11

Structural model:
```
KPO4
1.0
-4.1343 4.1343 3.4928
4.1343 -4.1343 3.4928
4.1343 4.1343 -3.4928
K P O
2 2 8
Cartesian
0.0000 0.0000 0.0000
0.0000 4.1343 1.7464
4.1343 0.0000 1.7464
0.0000 0.0000 3.4928
3.5661 0.9816 0.6810
0.9816 -0.5682 2.4274
3.1527 -0.5682 2.8118
3.1527 4.7025 -1.0654
0.9816 4.7025 -0.6810
3.5661 3.1527 1.0654
0.5682 0.9816 4.5582
0.5682 3.1527 4.1738
```

=====

[1]
Structure and simulated X-ray powder pattern of Re2Te4Cl22O (a DFT-relaxed cell (PBE, the Materials Project); Cu Kα (weighted mean of Kα1 and Kα2)).

Atomic structure:
```
data_Re2Te4Cl22O
_chemical_formula_sum 'Re4 Te8 Cl44 O2'
_cell_length_a 9.6128
_cell_length_b 12.2063
_cell_length_c 19.8221
_cell_angle_alpha 90.00
_cell_angle_beta 114.78
_cell_angle_gamma 90.00
_symmetry_space_group_name_H-M 'P 1'
_symmetry_Int_Tables_number 1
loop_
_symmetry_equiv_pos_as_xyz
'x,y,z'
loop_
_atom_site_label
_atom_site_type_symbol
_atom_site_fract_x
_atom_site_fract_y
_atom_site_fract_z
Re1 Re 0.0839 0.0667 0.4412
Re2 Re 0.0839 0.4333 0.9412
Re3 Re 0.9161 0.5667 0.0588
Re4 Re 0.9161 0.9333 0.5588
Te1 Te 0.1929 0.7219 0.5071
Te2 Te 0.1929 0.7781 0.0071
Te3 Te 0.3382 0.0591 0.6751
Te4 Te 0.3382 0.4409 0.1751
Te5 Te 0.6618 0.5591 0.8249
Te6 Te 0.6618 0.9409 0.3249
Te7 Te 0.8071 0.2219 0.9929
Te8 Te 0.8071 0.2781 0.4929
Cl1 Cl 0.0526 0.6074 0.8804
Cl2 Cl 0.0526 0.8926 0.3804
Cl3 Cl 0.0678 0.5958 0.4125
Cl4 Cl 0.0678 0.9042 0.9125
Cl5 Cl 0.1089 0.2402 0.5016
Cl6 Cl 0.1089 0.2598 0.0016
Cl7 Cl 0.1651 0.6340 0.1476
Cl8 Cl 0.1651 0.8660 0.6476
Cl9 Cl 0.1866 0.1396 0.3644
Cl10 Cl 0.1866 0.3604 0.8644
Cl11 Cl 0.2512 0.5905 0.6031
Cl12 Cl 0.2512 0.9095 0.1031
Cl13 Cl 0.3283 0.0680 0.7929
Cl14 Cl 0.3283 0.4320 0.2929
Cl15 Cl 0.3344 0.0141 0.5298
Cl16 Cl 0.3344 0.4859 0.0298
Cl17 Cl 0.4349 0.6980 0.5034
Cl18 Cl 0.4349 0.8020 0.0034
Cl19 Cl 0.4400 0.0472 0.2833
Cl20 Cl 0.4400 0.4528 0.7833
Cl21 Cl 0.4777 0.2249 0.6903
Cl22 Cl 0.4777 0.2751 0.1903
Cl23 Cl 0.5223 0.7249 0.8097
Cl24 Cl 0.5223 0.7751 0.3097
Cl25 Cl 0.5600 0.5472 0.2167
Cl26 Cl 0.5600 0.9528 0.7167
Cl27 Cl 0.5651 0.1980 0.9966
Cl28 Cl 0.5651 0.3020 0.4966
Cl29 Cl 0.6656 0.5141 0.9702
Cl30 Cl 0.6656 0.9859 0.4702
Cl31 Cl 0.6717 0.5680 0.7071
Cl32 Cl 0.6717 0.9320 0.2071
Cl33 Cl 0.7488 0.0905 0.8969
Cl34 Cl 0.7488 0.4095 0.3969
Cl35 Cl 0.8134 0.6396 0.1356
Cl36 Cl 0.8134 0.8604 0.6356
Cl37 Cl 0.8349 0.1340 0.3524
Cl38 Cl 0.8349 0.3660 0.8524
Cl39 Cl 0.8911 0.7402 0.9984
Cl40 Cl 0.8911 0.7598 0.4984
Cl41 Cl 0.9322 0.0958 0.0875
Cl42 Cl 0.9322 0.4042 0.5875
Cl43 Cl 0.9474 0.1074 0.6196
Cl44 Cl 0.9474 0.3926 0.1196
O1 O 0.0000 0.0000 0.5000
O2 O 0.0000 0.5000 0.0000
```

Peak list (8 most intense, 10° ≤ 2θ ≤ 90°, sorted by position)
- 2θ = 10.14°, d = 8.728 Å, I 21
- 2θ = 10.76°, d = 8.219 Å, I 100
- 2θ = 11.74°, d = 7.540 Å, I 49
- 2θ = 16.86°, d = 5.259 Å, I 22
- 2θ = 17.22°, d = 5.149 Å, I 63
- 2θ = 18.37°, d = 4.830 Å, I 23
- 2θ = 24.13°, d = 3.688 Å, I 21
- 2θ = 36.41°, d = 2.467 Å, I 24

***

[2]
Structure and simulated X-ray powder pattern of AgBiO3 (a DFT-relaxed cell (PBE, the Materials Project); Cu Kα (weighted mean of Kα1 and Kα2)).

Atomic structure:
```
data_AgBiO3
_chemical_formula_sum 'Ag2 Bi2 O6'
_cell_length_a 6.3032
_cell_length_b 6.3032
_cell_length_c 6.3032
_cell_angle_alpha 54.56
_cell_angle_beta 54.56
_cell_angle_gamma 54.56
_symmetry_space_group_name_H-M 'P 1'
_symmetry_Int_Tables_number 1
loop_
_symmetry_equiv_pos_as_xyz
'x,y,z'
loop_
_atom_site_label
_atom_site_type_symbol
_atom_site_fract_x
_atom_site_fract_y
_atom_site_fract_z
Ag1 Ag 0.1316 0.1316 0.1316
Ag2 Ag 0.8684 0.8684 0.8684
Bi1 Bi 0.3420 0.3420 0.3420